In the eyes:
Flush the eyes for several minutes with clean water to try to remove the product.
Cover the eyes for several minutes with a sterilized dressing, and prevent the victim from rubbing the
Seek medical help immediately.
On the clothing:
Remove the clothing after soaking the fuel-soaked clothing first with water. (This should prevent
Wash with soap and water and rinse thoroughly.
Get to medical help, if needed.
Accident reporting is a very important aspect of a fire and safety program. Accident reports allow all personnel,
from the front line supervisor to senior doctrinal planners, to track and quantify safety-related trends that may
lead to changes or revisions in Army or even DOD policy related to doctrine and general procedures. By
ensuring the proper completion of accident reports, you, as a supervisor, are providing useful data that may be
used to effect changes in unsafe procedures and practices that in turn will save lives in the future and provide for
a more efficient and effective Army. Instructions for the use and procedures for properly completing DA Form
285 can be found in AR 385-40.
~~~
[1]
Compound: EuCu2SnS4
Source: Materials Project
Functional: PBE-GGA
Structure: relaxed

Summary:
Energy relative to the elements ... -1.01 eV/atom
Total DFT energy (no corrections) ... -90.19 eV per cell
Energy with MP2020 corrections ... -5.89 eV/atom
Space group ... Ama2 (40)

Structure (POSCAR):
```
EuCu2SnS4
1.0
10.507 0.000 0.000
0.000 5.168 3.225
0.000 -5.168 3.225
Eu Cu Sn S
2 4 2 8
Direct
0.000 0.000 0.000
0.500 0.000 0.000
0.126 0.803 0.375
0.374 0.803 0.375
0.626 0.375 0.803
0.874 0.375 0.803
0.250 0.427 0.731
0.750 0.731 0.427
0.068 0.488 0.006
0.250 0.108 0.309
0.250 0.816 0.699
0.432 0.488 0.006
0.568 0.006 0.488
0.750 0.309 0.108
0.750 0.699 0.816
0.932 0.006 0.488
```

---

[2]
Compound: ZnHg3
Source: Materials Project
Functional: PBE-GGA
Structure: relaxed

Summary:
Energy relative to the elements ... 0.11 eV/atom
Energy relative to the lowest polymorph listed for this composition ... 0.000 eV per atom
Total DFT energy (no corrections) ... -1.71 eV per cell
Space group ... I4/mmm (139)

Structure (POSCAR):
```
ZnHg3
1.0
-2.193 2.193 5.053
2.193 -2.193 5.053
2.193 2.193 -5.053
Zn Hg
1 3
Direct
0.000 0.000 0.000
0.250 0.750 0.500
0.500 0.500 0.000
0.750 0.250 0.500
```

---

[3]
Compound: Na2Nb4Si7Ge4S5O48
Source: Materials Project
Functional: PBE-GGA
Structure: relaxed

Summary:
Energy relative to the elements ... -2.49 eV/atom
Total DFT energy (no corrections) ... -1497.46 eV per cell
Energy with MP2020 corrections ... -7.60 eV/atom
Space group ... P1 (1)

Structure (POSCAR):
```
Na2Nb4Si7Ge4S5O48
1.0
8.674 0.000 0.000
-0.063 15.151 0.000
-0.233 -0.024 22.403
Na Nb Si Ge S O
6 12 21 12 15 144
Direct
0.000 0.000 0.000
0.003 0.330 0.336
0.486 0.829 0.840
0.489 0.498 0.499
0.501 0.496 0.002
0.991 0.999 0.499
0.003 0.995 0.149
0.009 0.658 0.814
0.478 0.159 0.313
0.485 0.495 0.650
0.501 0.821 0.476
0.507 0.151 0.815
0.509 0.489 0.145
0.510 0.824 0.197
0.977 0.325 0.697
0.979 0.322 0.978
0.982 0.651 0.313
0.982 0.994 0.649
0.136 0.855 0.757
0.145 0.510 0.423
0.148 0.189 0.089
0.207 0.157 0.425
0.213 0.489 0.759
0.275 0.988 0.259
0.283 0.656 0.926
0.339 0.688 0.588
0.343 0.355 0.255
0.348 0.014 0.926
0.623 0.354 0.760
0.648 0.687 0.082
0.649 0.019 0.420
0.707 0.982 0.756
0.710 0.316 0.089
0.715 0.649 0.424
0.777 0.481 0.257
0.779 0.148 0.924
0.841 0.187 0.582
0.842 0.518 0.920
0.866 0.854 0.259
0.006 0.319 0.479
0.011 0.648 0.521
0.472 0.827 0.696
0.483 0.821 0.981
0.491 0.158 0.027
0.491 0.490 0.863
0.492 0.489 0.359
0.508 0.151 0.520
0.983 0.648 0.022
0.994 0.987 0.862
0.994 0.996 0.360
0.997 0.325 0.191
0.130 0.804 0.423
0.132 0.474 0.088
0.133 0.135 0.756
0.206 0.822 0.085
0.282 0.322 0.586
0.354 0.635 0.256
0.355 0.304 0.922
0.356 0.973 0.588
0.632 0.641 0.755
0.632 0.970 0.086
0.640 0.305 0.423
0.782 0.820 0.588
0.849 0.804 0.923
0.855 0.139 0.256
0.855 0.472 0.585
0.051 0.761 0.765
0.055 0.414 0.433
0.059 0.089 0.096
0.060 0.563 0.082
0.061 0.099 0.809
0.063 0.893 0.419
0.064 0.558 0.365
0.064 0.762 0.477
0.065 0.225 0.746
~~~
All of the information provided in this lesson would be useless if it were not documented and used to establish a
standard set of daily operating procedures that can be incorporated into your personnel's everyday tasks. As the
senior NCO of your unit , you are responsible for developing a petroleum supply fire and safety SOP. The
format for most SOPs is standard and is provided in Appendix B of FM 10-426 (Petroleum Supply Units). Below
is an extract from FM 10-426, Appendix B. This format is designed to ensure a standard and complete set of
procedures related to the particular SOP being developed. It is important to realize that while this format dictates
the sequence and content requirements for an effective SOP, you must also include procedures that are peculiar
to your unit and overall mission.
Unit Location - Using unit location.
References - Applicable references used to develop SOP.
Required - SOP content.
Purpose - Tell the reason you are establishing the SOP.
Scope - Specify procedures and requirements to be covered by the SOP.
Responsibility - Responsible personnel for each set of procedures.
Procedures - State which operating procedures are to be used and intervals when applicable.
Miscellaneous - Any additional pertinent information to be included.
Here the text breaks off for data records:
~~~
No. 1
This record from Materials Project describes an optimized crystal structure of Li8Fe7SnP12O48. The functional is PBE+U.

Lattice parameters (Å, degrees): 8.680 8.817 12.261 89.96 89.97 89.97
Positions (direct):
Li 0.000 0.000 0.000
Li 0.000 0.055 0.363
Li 0.433 0.552 0.358
Li 0.434 0.500 0.001
Li 0.500 0.000 0.864
Li 0.500 0.062 0.500
Li 0.934 0.500 0.864
Li 0.936 0.555 0.500
Fe 0.466 0.318 0.795
Fe 0.468 0.236 0.294
Fe 0.468 0.819 0.069
Fe 0.966 0.319 0.069
Fe 0.966 0.737 0.295
Fe 0.968 0.236 0.569
Fe 0.968 0.818 0.794
Sn 0.466 0.738 0.568
P 0.111 0.385 0.329
P 0.111 0.670 0.035
P 0.175 0.526 0.683
P 0.256 0.030 0.684
P 0.322 0.885 0.328
P 0.323 0.170 0.035
P 0.613 0.382 0.535
P 0.614 0.670 0.832
P 0.678 0.528 0.181
P 0.757 0.027 0.182
P 0.823 0.170 0.829
P 0.826 0.884 0.535
O 0.043 0.264 0.408
O 0.044 0.792 0.956
O 0.054 0.510 0.002
O 0.055 0.545 0.362
O 0.061 0.344 0.213
O 0.061 0.711 0.151
O 0.067 0.439 0.604
O 0.068 0.614 0.762
O 0.144 0.174 0.026
O 0.144 0.882 0.338
O 0.160 0.136 0.613
O 0.162 0.919 0.752
O 0.266 0.635 0.610
O 0.274 0.421 0.752
O 0.290 0.381 0.337
O 0.290 0.673 0.027
O 0.365 0.116 0.762
O 0.365 0.945 0.601
O 0.373 0.211 0.151
O 0.374 0.844 0.212
O 0.380 0.010 0.002
O 0.381 0.044 0.362
O 0.391 0.291 0.956
O 0.392 0.761 0.405
O 0.543 0.791 0.909
O 0.544 0.264 0.455
O 0.555 0.510 0.863
O 0.555 0.543 0.498
O 0.560 0.347 0.651
O 0.566 0.712 0.715
O 0.569 0.615 0.103
O 0.570 0.439 0.260
O 0.644 0.173 0.838
O 0.645 0.886 0.525
O 0.660 0.135 0.253
O 0.661 0.921 0.111
O 0.774 0.420 0.111
O 0.774 0.635 0.252
O 0.790 0.382 0.526
O 0.791 0.673 0.841
O 0.865 0.115 0.103
O 0.865 0.940 0.261
O 0.872 0.212 0.713
O 0.872 0.843 0.652
O 0.880 0.010 0.862
O 0.880 0.044 0.502
O 0.891 0.291 0.908
O 0.891 0.763 0.456

=====

No. 2
This record from Materials Project describes an optimized crystal structure of Li8Fe3SnP6O24. The functional is PBE+U.

Lattice parameters (Å, degrees): 8.851 8.851 8.851 61.67 61.67 61.67
Positions (direct):
Li 0.000 0.000 0.000
Li 0.169 0.762 0.323
Li 0.245 0.668 0.834
Li 0.323 0.169 0.762
Li 0.494 0.494 0.494
Li 0.668 0.834 0.245
Li 0.762 0.323 0.169
Li 0.834 0.245 0.668
Fe 0.171 0.171 0.171
Fe 0.370 0.370 0.370
Fe 0.871 0.871 0.871
Sn 0.670 0.670 0.670
P 0.074 0.475 0.775
P 0.275 0.978 0.576
P 0.475 0.775 0.074
P 0.576 0.275 0.978
P 0.775 0.074 0.475
P 0.978 0.576 0.275
O 0.016 0.413 0.230
O 0.051 0.629 0.826
O 0.084 0.291 0.931
O 0.122 0.945 0.761
O 0.126 0.559 0.332
O 0.230 0.016 0.413
O 0.257 0.447 0.618
O 0.291 0.931 0.084
O 0.332 0.126 0.559
O 0.413 0.230 0.016
O 0.434 0.784 0.598
O 0.447 0.618 0.257
O 0.520 0.720 0.910
O 0.559 0.332 0.126
O 0.598 0.434 0.784
O 0.618 0.257 0.447
O 0.629 0.826 0.051
O 0.720 0.910 0.520
O 0.761 0.122 0.945
O 0.784 0.598 0.434
O 0.826 0.051 0.629
O 0.910 0.520 0.720
O 0.931 0.084 0.291
O 0.945 0.761 0.122

=====

No. 3
This record from Materials Project describes an optimized crystal structure of Li8Fe7TeP12O48. The functional is PBE+U.
~~~
The data records stop here:
Definition Section - Definitions of terms.
Signs and Symbols - Explanation of symbols and/or signs used.
Special Instructions.
QM 5097